[Given]
=====
Entry 1:
LiY2Se | PBE-GGA | relaxed

Unit cell a=4.0461 b=4.0890 c=5.9669 alpha=69.96 beta=90.00 gamma=90.00
Fractional positions:
Y1 0.0000 0.9768 0.9209
Y2 0.5000 0.2762 0.3229
Se1 0.5000 0.5534 0.7678
Li1 0.0000 0.6936 0.4884

Calculated values
Volume in Å³/atom: 23.185
Uncorrected energy in eV/cell: -21.633
Formation energy (no corrections) in eV per atom: -0.83
SG: Amm2, No. 38

---

Entry 2:
TlVCu2 | PBE-GGA | relaxed

Unit cell a=7.1757 b=7.1757 c=5.7690 alpha=51.54 beta=51.54 gamma=90.00
Last column: magnetic moment on the atom in μB.
Fractional positions:
Tl1 0.0000 0.0000 0.0000  0.03
Tl2 0.7500 0.2500 0.5000  0.03
Cu1 0.6093 0.1250 0.2500  0.07
Cu2 0.1407 0.6250 0.2500  0.07
Cu3 0.3750 0.3907 0.7500  0.07
Cu4 0.8750 0.8593 0.7500  0.07
V1 0.5000 0.5000 0.0000  2.27
V2 0.2500 0.7500 0.5000  2.27

Calculated values
Volume in Å³/atom: 17.669
Uncorrected energy in eV/cell: -34.004
Relative energy among the computed polymorphs in eV per atom: 0.264
SG: I-42d, No. 122

---

Entry 3:
PmTiPbAu | PBE-GGA | relaxed

Unit cell a=5.1253 b=5.1253 c=5.1253 alpha=60.00 beta=60.00 gamma=60.00
Last column: magnetic moment on the atom in μB.
Fractional positions:
Pb1 0.0000 0.0000 0.0000  -0.04
Ti1 0.2500 0.2500 0.2500  1.45
Au1 0.5000 0.5000 0.5000  0.03
Pm1 0.7500 0.7500 0.7500  0.14

Calculated values
Volume in Å³/atom: 23.800
Uncorrected energy in eV/cell: -20.788
SG: F-43m, No. 216

---

Entry 4:
Tm5MgPb5 | PBE-GGA | relaxed

Unit cell a=6.2069 b=8.4214 c=7.1686 alpha=103.08 beta=90.00 gamma=111.62
Fractional positions:
Tm1 0.6698 0.3396 0.3254
Tm2 0.6594 0.3187 0.8134
Tm3 0.0000 0.0000 0.5000
Tm4 0.3406 0.6813 0.1866
Tm5 0.3302 0.6604 0.6746
Mg1 0.0000 0.0000 0.0000
Pb1 0.8355 0.6709 0.1480
Pb2 0.8378 0.6757 0.6712
Pb3 0.5000 0.0000 0.0000
Pb4 0.1622 0.3243 0.3288
Pb5 0.1645 0.3291 0.8520

Calculated values
Volume in Å³/atom: 30.714
Uncorrected energy in eV/cell: -43.734
SG: C2/m, No. 12

=====

The following is a PBE-GGA calculation of an optimized crystal structure of Nd3Re2N6, from the Alexandria database.

Output
The value obtained for the density of states at the Fermi level is 5.0 states/eV per cell. The space group is I4/mmm, No. 139. The value obtained for the total energy is -98.570 eV per cell. The calculation puts the uncorrected formation energy at -9.42 eV/f.u. As for the spin magnetization: 0.00 μB/f.u.

Cell and atoms, written as extended XYZ:
```
11
Lattice="-0.1047 -2.9013 -2.6649 2.8947 -1.8649 1.9166 -8.0456 -2.3622 5.8014" Properties=species:S:1:pos:R:3 pbc="T T T"
Nd -2.4507 -1.7486 1.9999
Nd 0.0000 0.0000 0.0000
Re 0.1702 -3.2570 0.6254
Nd -2.8049 -5.3798 3.0532
N -1.2146 -2.2799 -0.3840
N -4.0318 -2.8767 3.2902
N -4.0410 -4.8484 5.4371
N -1.2238 -4.2516 1.7629
N -5.5407 -5.3666 3.1463
Re -5.4258 -3.8714 4.4277
N 0.2851 -1.7617 1.9068
```

The following is a PBE-GGA calculation of an optimized crystal structure of Na2H2SCl2, from the Alexandria database.

Output
The space group is C2/m, No. 12. The value obtained for the total energy is -22.007 eV per cell. As for the spin magnetization: 0.00 μB/f.u.

Cell and atoms, written as extended XYZ:
```
7
Lattice="3.6328 0.0000 0.0000 1.8164 5.4716 -0.4049 1.8164 1.6733 6.2694" Properties=species:S:1:pos:R:3 pbc="T T T"
Cl 5.4492 4.9573 3.9220
Na 3.6328 2.5295 4.1930
Na 3.6328 4.6154 1.6715
Cl 1.8164 2.1876 1.9426
H 3.6328 6.0010 5.0271
H 3.6328 1.1439 0.8375
S 0.0000 0.0000 0.0000
```

The following is a PBE-GGA calculation of an optimized crystal structure of Co11Ni3, from the Alexandria database.

Output
The value obtained for the density of states at the Fermi level is 14.1 states/eV per cell. The space group is Immm, No. 71. The value obtained for the total energy is -92.806 eV per cell. As for the spin magnetization: 20.55 μB/f.u.

Cell and atoms, written as extended XYZ:
```
14
Lattice="-2.8904 1.9751 -1.6534 -4.4426 -4.5425 -2.1928 -4.5593 1.1444 4.8045" Properties=species:S:1:pos:R:3 pbc="T T T"
Co -3.5846 -2.2305 -0.9309
Co -9.6581 -1.0027 2.0873
=====

[What to do]
Transcribe the entries above from the line with "-0.04" to the end without additions, please.

[Done]
Pb1 0.0000 0.0000 0.0000  -0.04
Ti1 0.2500 0.2500 0.2500  1.45
Au1 0.5000 0.5000 0.5000  0.03
Pm1 0.7500 0.7500 0.7500  0.14

Calculated values
Volume in Å³/atom: 23.800
Uncorrected energy in eV/cell: -20.788
SG: F-43m, No. 216

---

Entry 4:
Tm5MgPb5 | PBE-GGA | relaxed

Unit cell a=6.2069 b=8.4214 c=7.1686 alpha=103.08 beta=90.00 gamma=111.62
Fractional positions:
Tm1 0.6698 0.3396 0.3254
Tm2 0.6594 0.3187 0.8134
Tm3 0.0000 0.0000 0.5000
Tm4 0.3406 0.6813 0.1866
Tm5 0.3302 0.6604 0.6746
Mg1 0.0000 0.0000 0.0000
Pb1 0.8355 0.6709 0.1480
Pb2 0.8378 0.6757 0.6712
Pb3 0.5000 0.0000 0.0000
Pb4 0.1622 0.3243 0.3288
Pb5 0.1645 0.3291 0.8520

Calculated values
Volume in Å³/atom: 30.714
Uncorrected energy in eV/cell: -43.734
SG: C2/m, No. 12

=====

The following is a PBE-GGA calculation of an optimized crystal structure of Nd3Re2N6, from the Alexandria database.

Output
The value obtained for the density of states at the Fermi level is 5.0 states/eV per cell. The space group is I4/mmm, No. 139. The value obtained for the total energy is -98.570 eV per cell. The calculation puts the uncorrected formation energy at -9.42 eV/f.u. As for the spin magnetization: 0.00 μB/f.u.

Cell and atoms, written as extended XYZ:
```
11
Lattice="-0.1047 -2.9013 -2.6649 2.8947 -1.8649 1.9166 -8.0456 -2.3622 5.8014" Properties=species:S:1:pos:R:3 pbc="T T T"
Nd -2.4507 -1.7486 1.9999
Nd 0.0000 0.0000 0.0000
Re 0.1702 -3.2570 0.6254
Nd -2.8049 -5.3798 3.0532
N -1.2146 -2.2799 -0.3840
N -4.0318 -2.8767 3.2902
N -4.0410 -4.8484 5.4371
N -1.2238 -4.2516 1.7629
N -5.5407 -5.3666 3.1463
Re -5.4258 -3.8714 4.4277
N 0.2851 -1.7617 1.9068
```

The following is a PBE-GGA calculation of an optimized crystal structure of Na2H2SCl2, from the Alexandria database.

Output
The space group is C2/m, No. 12. The value obtained for the total energy is -22.007 eV per cell. As for the spin magnetization: 0.00 μB/f.u.

Cell and atoms, written as extended XYZ:
```
7
Lattice="3.6328 0.0000 0.0000 1.8164 5.4716 -0.4049 1.8164 1.6733 6.2694" Properties=species:S:1:pos:R:3 pbc="T T T"
Cl 5.4492 4.9573 3.9220
Na 3.6328 2.5295 4.1930
Na 3.6328 4.6154 1.6715
Cl 1.8164 2.1876 1.9426
H 3.6328 6.0010 5.0271
H 3.6328 1.1439 0.8375
S 0.0000 0.0000 0.0000
```

The following is a PBE-GGA calculation of an optimized crystal structure of Co11Ni3, from the Alexandria database.

Output
The value obtained for the density of states at the Fermi level is 14.1 states/eV per cell. The space group is Immm, No. 71. The value obtained for the total energy is -92.806 eV per cell. As for the spin magnetization: 20.55 μB/f.u.

Cell and atoms, written as extended XYZ:
```
14
Lattice="-2.8904 1.9751 -1.6534 -4.4426 -4.5425 -2.1928 -4.5593 1.1444 4.8045" Properties=species:S:1:pos:R:3 pbc="T T T"
Co -3.5846 -2.2305 -0.9309
Co -9.6581 -1.0027 2.0873